Clownfish are beautiful saltwater fish that will add much value to your aquarium with their bright colors, vivid patterns, and infectious personalities. Their popularity has been extremely high for years, which leads many hobbyists to want to breed them. The problem is t clownfish breeding isn't exactly a walk in the park. However, this guide will shine some light on the process, which will maximize your chances of breeding these awesome fish.

How To Breed Clownfish
____________
Entry 1:
# HoGa2Fe
Theoretical powder X-ray diffraction pattern, Cu Kα X-rays. Input: a crystal structure in Alexandria, relaxed with GGA-PBE.
Neutral-atom scattering factors, no anomalous dispersion.

Largest 10 diffraction maxima, sorted by position, 10° ≤ 2θ ≤ 80°:
- 2θ 26.27, d = 3.392 Å, rel. 19, (2 0 0)
- 2θ 29.82, d = 2.996 Å, rel. 14, (1 0 3)
- 2θ 35.25, d = 2.546 Å, rel. 68, (2 1 1)
- 2θ 36.93, d = 2.434 Å, rel. 100, (1 1 3)
- 2θ 38.30, d = 2.350 Å, rel. 20, (1 0 4)
- 2θ 38.64, d = 2.330 Å, rel. 14, (2 1 2)
- 2θ 43.37, d = 2.086 Å, rel. 36, (0 2 0)
- 2θ 43.79, d = 2.067 Å, rel. 16, (2 1 3)
- 2θ 43.93, d = 2.061 Å, rel. 14, (3 0 2)
- 2θ 75.33, d = 1.262 Å, rel. 12, (1 3 3)

Crystal structure
```
data_HoGa2Fe
_cell_length_a 6.7847
_cell_length_b 4.1728
_cell_length_c 10.0196
_cell_angle_alpha 90.00
_cell_angle_beta 90.00
_cell_angle_gamma 90.00
_space_group_name_H-M_alt 'P n m a'
_space_group_IT_number 62
loop_
_space_group_symop_operation_xyz
'x,y,z'
'-x,-y,-z'
'-x+1/2,-y,z+1/2'
'x+1/2,y,-z+1/2'
'x+1/2,-y+1/2,-z+1/2'
'-x+1/2,y+1/2,z+1/2'
'-x,y+1/2,-z'
'x,-y+1/2,z'
loop_
_atom_site_label
_atom_site_fract_x
_atom_site_fract_y
_atom_site_fract_z
Ho1 0.2111 0.2500 0.1596
Ga1 0.0966 0.2500 0.8291
Ga2 0.2331 0.7500 0.9539
Fe1 0.0384 0.7500 0.4191
```

***

Entry 2:
# GaFe3Ir4
Theoretical powder X-ray diffraction pattern, Cu Kα X-rays. Input: a crystal structure in Alexandria, relaxed with GGA-PBE.
Neutral-atom scattering factors, no anomalous dispersion.

Largest 10 diffraction maxima, sorted by position, 10° ≤ 2θ ≤ 80°:
- 2θ 22.28, d = 3.990 Å, rel. 13, (1 0 1)
- 2θ 28.61, d = 3.120 Å, rel. 38, (2 0 1)
- 2θ 32.09, d = 2.789 Å, rel. 20, (0 2 0)
- 2θ 39.41, d = 2.286 Å, rel. 24, (1 2 1)
- 2θ 41.52, d = 2.175 Å, rel. 19, (1 0 2)
- 2θ 41.66, d = 2.168 Å, rel. 40, (4 0 0)
- 2θ 43.52, d = 2.080 Å, rel. 100, (2 2 1)
- 2θ 45.46, d = 1.995 Å, rel. 17, (2 0 2)
- 2θ 71.49, d = 1.320 Å, rel. 12, (0 2 3)
- 2θ 77.32, d = 1.234 Å, rel. 18, (6 2 1)

Crystal structure
```
data_GaFe3Ir4
_cell_length_a 8.6724
_cell_length_b 5.5789
_cell_length_c 4.4940
_cell_angle_alpha 90.00
_cell_angle_beta 90.00
_cell_angle_gamma 90.00
_space_group_name_H-M_alt 'P m m a'
_space_group_IT_number 51
loop_
_space_group_symop_operation_xyz
'x,y,z'
'-x,-y,-z'
'-x+1/2,-y,z'
'x+1/2,y,-z'
'x+1/2,-y,-z'
'-x+1/2,y,z'
'-x,y,-z'
'x,-y,z'
loop_
_atom_site_label
_atom_site_fract_x
_atom_site_fract_y
_atom_site_fract_z
Ga1 0.0000 0.0000 0.0000
Fe1 0.0000 0.5000 0.0000
Fe2 0.2500 0.0000 0.3763
Fe3 0.2500 0.5000 0.3630
Ir1 0.0000 0.2542 0.5000
Ir2 0.2500 0.2532 0.8713
```

***

Entry 3:
# LaMgGa2Fe
Theoretical powder X-ray diffraction pattern, Cu Kα X-rays. Input: a crystal structure in Alexandria, relaxed with GGA-PBE.
Neutral-atom scattering factors, no anomalous dispersion.

Largest 10 diffraction maxima, sorted by position, 10° ≤ 2θ ≤ 80°:
- 2θ 26.84, d = 3.321 Å, rel. 81, (1 0 1)
- 2θ 33.17, d = 2.701 Å, rel. 100, (1 1 1)
- 2θ 37.83, d = 2.378 Å, rel. 38, (0 0 2)
____________
To begin the process of breeding clownfish you must first purchase a mated pair, the prices of the pairing will differ depending on the species of clownfish you are after. It is pretty simple, the more common the clownfish and easier to pair, the less expensive they will be.
Clownfish pairings are not all that easy to find, especially if you are looking for specific sub-species. If your local fish store does not have an active pair of clownfish, you should ask them to reserve one for you when they next come in.
It is important to bear in mind that clownfish are external breeders, meaning the female lays eggs and the male fertilizes them. Moreover, clownfish are born sexless, and they only develop male and female sex organs when they grow up.
Clownfish Breeding Setup
Clownfish typically reside in groups in the wild, and in stores too. Out of a group of clownfish, only one will become female, which then becomes the most dominant fish in the group.
The second strongest clownfish will then become the male, who will fertilize and defend the eggs. The others in the group will remain sexless for their entire lives. If you cannot get two clownfish from the group to mate, simply remove the largest and second-largest and place them in a separate tank.

If you are looking for instant success with breeding clownfish, you can pick a pair from the get-go, rather than purchase a group of them. This will ensure you have a pregnant clownfish on your hands in a short space of time.
How Long Does it Take for Clownfish to Breed?
If your clownfish pair are mating on a regular basis, it will take roughly 10 to 14 days for the eggs to be laid, after this, it will take around 8 to 10 days for them to hatch.
So, when do clownfish reproduce? The larvae will hatch on back-to-back evenings, which can be annoying if you need to collect them all from a breeding tank, as some will not be ready straight away.
How To Protect Your Clownfish Eggs
Unrelated to this article: crystal structures:
=====
[1]
Ba8In2Sn: computed PXRD pattern (Cu Kα, 1.54184 Å), based on DFT lattice parameters and positions (GGA-PBE).

Atomic structure:
```
Ba8In2Sn
1.0
-2.9494 4.8329 8.7340
2.9494 -4.8329 8.7340
2.9494 4.8329 -8.7340
Ba In Sn
8 2 1
Cartesian
2.9494 2.6948 -2.7318 Ba
0.0000 0.0000 2.4878 Ba
0.0000 3.0537 0.0000 Ba
2.9494 2.6948 2.7318 Ba
0.0000 2.1380 6.0021 Ba
0.0000 6.6120 0.0000 Ba
0.0000 0.0000 14.9802 Ba
0.0000 2.1380 11.4658 Ba
2.9494 0.0000 5.4120 In
0.0000 4.8329 3.3220 In
2.9494 0.0000 0.0000 Sn
```

Largest 8 diffraction maxima, in order of rising 2θ, 10 to 80 degrees two-theta:
two_theta	Rel. int.
27.03	22.4
28.16	12.1
28.37	100.0
30.30	27.6
30.71	18.8
43.68	15.4
52.65	17.6
54.17	9.8

[2]
KLiPaI6: computed PXRD pattern (Cu Kα, 1.54184 Å), based on DFT lattice parameters and positions (GGA-PBE).

Atomic structure:
```
KLiPaI6
1.0
7.8244 0.0000 0.0000
-3.9122 6.7761 0.0000
0.0000 0.0000 15.7320
K Li Pa I
2 2 2 12
Cartesian
0.0000 0.0000 0.0000 K
0.0000 0.0000 7.8660 K
0.0000 4.5174 3.9330 Li
3.9122 2.2587 11.7990 Li
0.0000 4.5174 11.7990 Pa
3.9122 2.2587 3.9330 Pa
6.3980 2.4700 2.1833 I
-1.4259 2.4702 10.0493 I
5.3381 4.3059 5.6827 I
-2.4859 4.3061 13.5487 I
2.8522 0.0002 2.1833 I
-1.0599 6.7759 10.0493 I
1.4263 2.4700 5.6827 I
1.4259 2.4702 13.5487 I
4.9721 0.0002 5.6827 I
1.0600 6.7759 13.5487 I
2.4863 4.3059 2.1833 I
2.4859 4.3061 10.0493 I
```

Largest 8 diffraction maxima, in order of rising 2θ, 10 to 80 degrees two-theta:
two_theta	Rel. int.
11.25	26.6
14.23	33.6
17.27	18.3
25.43	100.0
32.27	57.2
39.91	33.4
41.46	29.4
47.92	14.5

[3]
TbSm3H8: computed PXRD pattern (Cu Kα, 1.54184 Å), based on DFT lattice parameters and positions (GGA-PBE).

Atomic structure:
```
TbSm3H8
1.0
5.3291 0.0000 0.0000
0.0000 5.3291 0.0000
0.0000 0.0000 5.3291
Tb Sm H
1 3 8
Cartesian
0.0000 0.0000 0.0000 Tb
0.0000 2.6645 2.6645 Sm
2.6645 0.0000 2.6645 Sm
2.6645 2.6645 0.0000 Sm
1.3110 1.3110 1.3110 H
1.3110 1.3110 4.0181 H
1.3110 4.0181 1.3110 H
1.3110 4.0181 4.0181 H
4.0181 1.3110 1.3110 H
4.0181 1.3110 4.0181 H
4.0181 4.0181 1.3110 H
4.0181 4.0181 4.0181 H
```

Largest 7 diffraction maxima, in order of rising 2θ, 10 to 80 degrees two-theta:
two_theta	Rel. int.
29.02	100.0
33.64	48.9
48.31	38.0
57.34	44.4
60.15	12.5
70.71	6.0
78.19	17.9


No. 1
The following is a calculated powder X-ray diffraction pattern of K2SiH6Au. It was derived from the GGA-PBE geometry in Alexandria, using Cu Ka.
Peak positions follow from Bragg's law for the DFT cell and can differ from measured ones.

Cell and atoms:
```
data_K2SiH6Au
_chemical_formula_sum 'K6 Si3 H18 Au3'
_symmetry_space_group_name_H-M 'R 3 m'
_symmetry_Int_Tables_number 160
_symmetry_space_group_name_Hall 'R 3 -2"'
_cell_length_a 5.5719
_cell_length_b 5.5719
_cell_length_c 13.6505
_cell_angle_alpha 90.00
_cell_angle_beta 90.00
_cell_angle_gamma 120.00
loop_
_atom_site_label
_atom_site_type_symbol
_atom_site_fract_x
_atom_site_fract_y
_atom_site_fract_z
K1 K 0.0000 0.0000 0.0000
K2 K 0.0000 0.0000 0.5000
=====
The article goes on:
Protecting your clownfish eggs is as important as setting them up to breed in the first place. Placing rocks, caves, and plants within your aquarium will encourage your clownfish to lay their eggs there, as this mimics their usual egg-laying spots in the wild. Clownfish like to hide their eggs from predatory fish, which is essentially any tank mate you put in with them.
Once the eggs have been hatched the female clownfish will leave and naturally start hunting for food as they do in the wild. The male will stay behind, however, and look after the eggs and remove the unfertilized ones and those infected by fungi. Something you must bear in mind with clownfish and their eggs is that occasionally the clownfish will eat their own eggs - learn more about this in our guide.
How Many Eggs Do Clownfish Produce?
It really depends on the species and size of clownfish, however, on average, females typically produce anything between 50 and 200 eggs. Clownfish breeding can occur three times a month and also the females can live to 30 years old!
Clownfish Eggs Appearance
When initially laid, clownfish eggs take up a pink/orange appearance, becoming grayer in color and then silvery once they reach maturity where you can see the eyes of the fish through the egg.
After your clownfish hatch, there will be a 10 day period of time where they either survive to live a long life as a clownfish or unfortunately do not make it. If your clownfish fry is still alive and kicking after 10 days, you will have a new addition, or several new additions to the family!

Crystal structures, kept here for reference =
........
Record 1
Simulated powder diffractogram
Compound: Sm2Ga2Tc2C
Radiation: Cu Kα X-rays
Structure: the GGA-PBE geometry in Alexandria
Kinematic intensities with the Lorentz-polarization factor, no thermal factor.

Structure:
abc: 11.1642 3.7908 7.4398
angles: 90.00 124.56 90.00
Space group C2/m (No. 12)
Asymmetric unit:
Sm1 0.0717 0.0000 0.2902 [4 per cell]
Ga1 0.1369 0.5000 0.6663 [4 per cell]
Tc1 0.1975 0.5000 0.0665 [4 per cell]
C1 0.0000 0.5000 0.0000 [2 per cell]

Top 8 peaks for 2θ from 15° to 90°, low angle first:
- 2θ 30.21, I 25, (2 0 1)
- 2θ 32.94, I 33, (4 0 -1)
- 2θ 33.81, I 75, (3 1 -1)
- 2θ 34.47, I 100, (1 1 -2)
- 2θ 37.75, I 32, (3 1 0)
- 2θ 38.99, I 37, (4 0 -3)
- 2θ 48.00, I 28, (0 2 0)
- 2θ 63.49, I 28, (4 2 -3)

***

Record 2
Simulated powder diffractogram
Compound: Ac6PrCd
Radiation: Cu Kα X-rays
Structure: the GGA-PBE geometry in Alexandria
Kinematic intensities with the Lorentz-polarization factor, no thermal factor.

Structure:
abc: 5.4731 5.4731 21.6438
angles: 90.00 90.00 90.00
Space group I4/mmm (No. 139)
Asymmetric unit:
Ac1 0.0000 0.0000 0.2502 [4 per cell]
Ac2 0.0000 0.5000 0.1174 [8 per cell]
Pr1 0.0000 0.0000 0.0000 [2 per cell]
Cd1 0.0000 0.0000 0.5000 [2 per cell]

Top 8 peaks for 2θ from 15° to 90°, low angle first:
- 2θ 28.35, I 100, (1 1 4)
- 2θ 32.73, I 35, (2 0 0)
- 2θ 33.11, I 16, (0 0 8)
- 2θ 46.96, I 13, (2 2 0)
- 2θ 47.24, I 24, (2 0 8)
- 2θ 55.77, I 31, (3 1 4)
- 2θ 56.27, I 13, (1 1 12)
- 2θ 58.66, I 13, (2 2 8)

----------

Entry 1:
Structure and simulated powder diffractogram of TbErAu2O8 (a cell relaxed with PBE; λ = 1.5418 Å (Cu Kα)).
Intensities are scaled so that the largest is 100.

Most intense lines, 10° ≤ 2θ ≤ 90°, in order of rising 2θ:
| 2theta | I/Imax |
| --- | --- |
| 29.22 | 100.0 |
| 33.78 | 22.8 |
| 34.02 | 11.1 |
| 48.53 | 16.9 |
| 48.71 | 33.5 |
| 57.65 | 30.2 |
| 57.97 | 14.8 |
| 60.59 | 9.6 |
| 78.62 | 6.2 |
| 78.89 | 12.4 |

```
TbErAu2O8
1.0
-2.653 2.653 5.270
2.653 -2.653 5.270
2.653 2.653 -5.270
Tb Er Au O
1 1 2 8
direct
0.000 0.000 0.000
0.250 0.750 0.500
0.500 0.500 0.000
0.750 0.250 0.500
0.127 0.140 0.519
0.127 0.608 0.987
0.392 0.379 0.519
0.392 0.873 0.013
0.621 0.140 0.013
0.621 0.608 0.481
0.860 0.379 0.987
0.860 0.873 0.481
```



Entry 2:
Structure and simulated powder diffractogram of Er4Co2Bi (a cell relaxed with PBE; λ = 1.5418 Å (Cu Kα)).
Intensities are scaled so that the largest is 100.

Most intense lines, 10° ≤ 2θ ≤ 90°, in order of rising 2θ:
| 2theta | I/Imax |
| --- | --- |
| 19.61 | 37.5 |
| 27.84 | 60.7 |
| 31.20 | 100.0 |
| 37.10 | 57.7 |
| 37.20 | 33.7 |
| 39.80 | 25.9 |
| 47.01 | 18.9 |
| 49.22 | 27.4 |
| 51.37 | 23.0 |
| 61.43 | 17.5 |

```
Er4Co2Bi
1.0
0.000 6.392 6.415
4.538 0.000 6.415
4.538 6.392 0.000
Er Co Bi
8 4 2
direct
0.153 0.275 0.277
0.205 0.723 0.725
0.275 0.153 0.795
0.277 0.795 0.153
0.723 0.205 0.847
0.725 0.847 0.205
0.795 0.277 0.275
0.847 0.725 0.723
0.000 0.000 0.000
0.000 0.000 0.500
0.000 0.500 0.000
0.500 0.000 0.000
........
What Should I Feed My Clownfish Fry?
Firstly, it is important for you to provide your hatchlings with good lighting so that they can see their food clearly. It is good to feed your clownfish fry freeze-dried brine shrimp, spirulina 20 flakes, and also some fresh brine shrimp too once they are larger in size.
You should also change 20% to 50% of the water in your tank on a daily basis to make things more clear for your fry. Keep a consistent but manageable supply of food going whilst they are at this stage. New hatchlings are incredibly vulnerable and can die if not looked after properly.
When breeding clownfish, there is a lot to take in and a lot to follow to make the process as smooth and successful as possible. By following this guide you will be ensuring the best chances of your clownfish breeding and also bringing up healthy and happy fry too. You will also need a little luck on your side because things do not always work out they way you hope they would!